-- Entries --
'''
{"formula": "C2H4N2O2", "method": "the ωB97M-V functional and the def2-TZVPD basis", "elements": ["N", "C", "O", "O", "C", "N", "H", "H", "H", "H"], "coordinates": [[0.072, -1.410, -0.404], [1.237, -0.550, 0.975], [2.330, -0.883, 1.069], [0.740, 1.407, 0.833], [-0.373, 1.323, 0.271], [-0.485, 0.622, -0.854], [0.133, -1.222, -1.401], [-0.915, -1.526, -0.174], [-1.265, 1.738, 0.773], [-1.475, 0.500, -1.088]], "forces_ev_per_angstrom": [[-0.1, -0.1, 0.0], [1.1, -0.2, 0.1], [-1.2, 0.3, -0.1], [0.1, -0.1, 0.1], [-0.2, -0.3, -0.4], [-0.2, 0.4, 0.4], [0.0, -0.1, 0.1], [0.1, 0.0, 0.0], [0.1, 0.0, -0.1], [0.1, 0.1, 0.0]], "homo_lumo_gap_ev": [7.76, 7.30], "total_energy_ha": -338.40762, "multiplicity": 1, "de_lowest_kj_mol": 644.76, "homo_ev": [-9.30, -9.19]}

=====

{"formula": "C22H14BF6N4O6S", "method": "the ωB97M-V functional and the def2-TZVPD basis", "elements": ["N", "C", "C", "C", "C", "N", "O", "O", "N", "C", "C", "N", "O", "O", "C", "H", "H", "C", "C", "C", "C", "C", "B", "C", "C", "C", "C", "F", "F", "F", "C", "C", "C", "F", "F", "F", "C", "O", "C", "C", "O", "S", "H", "H", "H", "H", "H", "H", "H", "H", "H", "H", "H", "H"], "coordinates": [[-1.708, -2.041, 2.608], [-1.040, -1.174, 2.159], [-0.210, -0.163, 1.681], [0.518, -0.512, 0.327], [2.191, 0.019, 0.741], [2.514, -0.867, 1.961], [3.200, -1.914, 1.748], [3.185, 0.086, 2.929], [2.856, 1.386, 2.655], [2.084, 1.282, 1.504], [0.836, 2.001, 1.554], [0.653, 3.388, 1.342], [1.649, 4.139, 1.142], [-0.541, 3.808, 1.322], [-0.283, 1.179, 1.919], [0.856, -1.641, 0.353], [-1.160, 1.622, 2.369], [1.547, -2.570, -3.221], [0.611, -1.690, -2.526], [0.645, -0.283, -2.619], [-0.223, 0.366, -1.725], [-0.767, -0.525, -0.700], [4.095, 0.081, 0.300], [-2.260, -0.268, -0.305], [-3.219, -1.259, -0.285], [-4.540, -0.979, 0.090], [-5.561, -2.068, 0.245], [-6.125, -2.044, 1.498], [-6.598, -1.945, -0.648], [-5.031, -3.313, 0.070], [-4.945, 0.324, 0.374], [-3.997, 1.331, 0.229], [-4.375, 2.742, 0.543], [-4.018, 3.061, 1.829], [-3.743, 3.636, -0.274], [-5.711, 2.983, 0.439], [-2.673, 1.029, -0.111], [4.256, -0.758, -0.760], [5.622, -0.548, -1.149], [6.218, 0.451, -0.142], [5.134, 0.785, 0.796], [-0.612, -2.226, -1.497], [1.568, -2.340, -4.288], [2.563, -2.429, -2.821], [1.256, -3.633, -3.077], [1.287, 0.213, -3.333], [-0.390, 1.409, -1.662], [-2.997, -2.301, -0.555], [-5.948, 0.545, 0.706], [-1.994, 1.890, -0.254], [6.116, -1.509, -1.122], [5.638, -0.182, -2.166], [7.033, 0.042, 0.430], [6.539, 1.384, -0.625]], "forces_ev_per_angstrom": [[1.5, 1.9, -1.3], [-2.0, -2.0, 1.9], [0.8, -0.1, -2.4], [2.4, -3.7, 5.1], [1.9, 1.3, 2.3], [-2.0, -0.8, -1.5], [0.6, 0.1, 0.0], [1.9, 0.8, -0.4], [-3.2, -2.0, -3.0], [1.8, 1.4, 3.1], [-1.8, 1.3, -1.0], [0.1, 0.0, 0.0], [-1.5, -1.2, 0.3], [1.3, -0.1, 0.0], [0.6, 0.9, -0.1], [-0.9, 2.1, 0.1], [0.1, 0.2, 0.3], [0.2, -1.3, -0.1], [-0.2, 1.9, 0.0], [-0.9, 0.0, 0.7], [1.2, -1.2, -1.3], [-0.1, -0.6, -2.2], [-4.4, -1.2, -0.6], [1.5, 0.1, -0.4], [-0.8, -1.2, 0.2], [0.3, 0.3, 0.0], [-0.4, -0.8, 0.3], [0.4, 0.0, -1.2], [0.8, -0.1, 0.7], [-0.5, 1.0, 0.1], [0.7, -0.2, -0.1], [-0.1, -0.5, 0.0], [0.4, 1.2, 0.5], [-0.4, -0.2, -1.1], [-0.5, -0.6, 0.6], [0.7, -0.2, 0.0], [-0.2, 1.6, 0.1], [1.0, 0.8, -0.2], [0.0, -0.4, 0.1], [-0.4, 0.6, 0.1], [0.1, -0.4, -1.0], [-0.2, 0.3, 0.7], [0.0, -0.1, 0.0], [-0.2, -0.1, 0.0], [0.3, 0.6, -0.2], [0.0, 0.1, 0.1], [0.0, 0.9, 0.0], [0.1, 0.6, 0.4], [-0.1, 0.0, -0.1], [-0.3, -0.6, 0.4], [0.3, -0.3, 0.0], [0.1, 0.2, -0.3], [0.3, -0.2, 0.2], [-0.1, -0.2, 0.2]], "homo_lumo_gap_ev": 3.14, "total_energy_ha": -2539.05027, "total_charge": -1, "multiplicity": 1, "de_lowest_kj_mol": 710.73, "homo_ev": -2.92}

=====
'''

-- Exercise --
Your job: find the line further up that holds "[-0.373, 1.323,", then give back that line and all lines after it there.

-- Outcome --
{"formula": "C2H4N2O2", "method": "the ωB97M-V functional and the def2-TZVPD basis", "elements": ["N", "C", "O", "O", "C", "N", "H", "H", "H", "H"], "coordinates": [[0.072, -1.410, -0.404], [1.237, -0.550, 0.975], [2.330, -0.883, 1.069], [0.740, 1.407, 0.833], [-0.373, 1.323, 0.271], [-0.485, 0.622, -0.854], [0.133, -1.222, -1.401], [-0.915, -1.526, -0.174], [-1.265, 1.738, 0.773], [-1.475, 0.500, -1.088]], "forces_ev_per_angstrom": [[-0.1, -0.1, 0.0], [1.1, -0.2, 0.1], [-1.2, 0.3, -0.1], [0.1, -0.1, 0.1], [-0.2, -0.3, -0.4], [-0.2, 0.4, 0.4], [0.0, -0.1, 0.1], [0.1, 0.0, 0.0], [0.1, 0.0, -0.1], [0.1, 0.1, 0.0]], "homo_lumo_gap_ev": [7.76, 7.30], "total_energy_ha": -338.40762, "multiplicity": 1, "de_lowest_kj_mol": 644.76, "homo_ev": [-9.30, -9.19]}

=====

{"formula": "C22H14BF6N4O6S", "method": "the ωB97M-V functional and the def2-TZVPD basis", "elements": ["N", "C", "C", "C", "C", "N", "O", "O", "N", "C", "C", "N", "O", "O", "C", "H", "H", "C", "C", "C", "C", "C", "B", "C", "C", "C", "C", "F", "F", "F", "C", "C", "C", "F", "F", "F", "C", "O", "C", "C", "O", "S", "H", "H", "H", "H", "H", "H", "H", "H", "H", "H", "H", "H"], "coordinates": [[-1.708, -2.041, 2.608], [-1.040, -1.174, 2.159], [-0.210, -0.163, 1.681], [0.518, -0.512, 0.327], [2.191, 0.019, 0.741], [2.514, -0.867, 1.961], [3.200, -1.914, 1.748], [3.185, 0.086, 2.929], [2.856, 1.386, 2.655], [2.084, 1.282, 1.504], [0.836, 2.001, 1.554], [0.653, 3.388, 1.342], [1.649, 4.139, 1.142], [-0.541, 3.808, 1.322], [-0.283, 1.179, 1.919], [0.856, -1.641, 0.353], [-1.160, 1.622, 2.369], [1.547, -2.570, -3.221], [0.611, -1.690, -2.526], [0.645, -0.283, -2.619], [-0.223, 0.366, -1.725], [-0.767, -0.525, -0.700], [4.095, 0.081, 0.300], [-2.260, -0.268, -0.305], [-3.219, -1.259, -0.285], [-4.540, -0.979, 0.090], [-5.561, -2.068, 0.245], [-6.125, -2.044, 1.498], [-6.598, -1.945, -0.648], [-5.031, -3.313, 0.070], [-4.945, 0.324, 0.374], [-3.997, 1.331, 0.229], [-4.375, 2.742, 0.543], [-4.018, 3.061, 1.829], [-3.743, 3.636, -0.274], [-5.711, 2.983, 0.439], [-2.673, 1.029, -0.111], [4.256, -0.758, -0.760], [5.622, -0.548, -1.149], [6.218, 0.451, -0.142], [5.134, 0.785, 0.796], [-0.612, -2.226, -1.497], [1.568, -2.340, -4.288], [2.563, -2.429, -2.821], [1.256, -3.633, -3.077], [1.287, 0.213, -3.333], [-0.390, 1.409, -1.662], [-2.997, -2.301, -0.555], [-5.948, 0.545, 0.706], [-1.994, 1.890, -0.254], [6.116, -1.509, -1.122], [5.638, -0.182, -2.166], [7.033, 0.042, 0.430], [6.539, 1.384, -0.625]], "forces_ev_per_angstrom": [[1.5, 1.9, -1.3], [-2.0, -2.0, 1.9], [0.8, -0.1, -2.4], [2.4, -3.7, 5.1], [1.9, 1.3, 2.3], [-2.0, -0.8, -1.5], [0.6, 0.1, 0.0], [1.9, 0.8, -0.4], [-3.2, -2.0, -3.0], [1.8, 1.4, 3.1], [-1.8, 1.3, -1.0], [0.1, 0.0, 0.0], [-1.5, -1.2, 0.3], [1.3, -0.1, 0.0], [0.6, 0.9, -0.1], [-0.9, 2.1, 0.1], [0.1, 0.2, 0.3], [0.2, -1.3, -0.1], [-0.2, 1.9, 0.0], [-0.9, 0.0, 0.7], [1.2, -1.2, -1.3], [-0.1, -0.6, -2.2], [-4.4, -1.2, -0.6], [1.5, 0.1, -0.4], [-0.8, -1.2, 0.2], [0.3, 0.3, 0.0], [-0.4, -0.8, 0.3], [0.4, 0.0, -1.2], [0.8, -0.1, 0.7], [-0.5, 1.0, 0.1], [0.7, -0.2, -0.1], [-0.1, -0.5, 0.0], [0.4, 1.2, 0.5], [-0.4, -0.2, -1.1], [-0.5, -0.6, 0.6], [0.7, -0.2, 0.0], [-0.2, 1.6, 0.1], [1.0, 0.8, -0.2], [0.0, -0.4, 0.1], [-0.4, 0.6, 0.1], [0.1, -0.4, -1.0], [-0.2, 0.3, 0.7], [0.0, -0.1, 0.0], [-0.2, -0.1, 0.0], [0.3, 0.6, -0.2], [0.0, 0.1, 0.1], [0.0, 0.9, 0.0], [0.1, 0.6, 0.4], [-0.1, 0.0, -0.1], [-0.3, -0.6, 0.4], [0.3, -0.3, 0.0], [0.1, 0.2, -0.3], [0.3, -0.2, 0.2], [-0.1, -0.2, 0.2]], "homo_lumo_gap_ev": 3.14, "total_energy_ha": -2539.05027, "total_charge": -1, "multiplicity": 1, "de_lowest_kj_mol": 710.73, "homo_ev": -2.92}

=====